Memoirs, Genre Fiction, Current Affairs, Science Fiction and Business: always plenty of variety and interest in the world of cover design. Here are some recent examples designed for our clients.
Web Vision Solutions -- online marketing for Authors
Independent authors often lack a plan for promoting their books and author brand online. Vanity Press publishers and others charge exorbitant fees for very uncertain results in this space. We approached local online marketing expert Ilana van Geijn and asked her if she could put together some affordable marketing packages designed for authors. She obliged and the results were as follows, with the associated introduction:
At Web Vision Solutions, we’ve been assisting our clients for over 10 years to create and establish a strong online presence to enhance brand recognition, elevate business and personal profiles, and drive sales of services and/or products.
As authors, we understand your specific needs. Our Book Marketing Professional team member has over 15 years experience, and teamed with my passion of creating and enhancing clients' online businesses, we combine our knowledge to craft a tailored strategy for you as an author. With a proven track record of collaborating with self published, traditionally published, USA Today and New York Times Best-Selling Authors, as well as small publishers, we ensure that every project we undertake meets the highest standards.
Ilana van Geijn
Founder, Web Vision Solutions
Some of the packages available are:
Book Launch and Marketing Strategy Packages — full and half
Amazon Publishing Package
NetGalley Promotion
Information For Ingram Spark Users
Websites, Social Media & More...
The full document can be downloaded here.
To get in touch with Web Vision Solutions:
To book in for a Discovery Call with Ilana, please click here.
Alternatively, please email us at and we will
connect with you within 24-48 hours.
Essential Marketing Tips for New Authors
A Guest Post from Chloe Harris
Despite the bells and whistles of computer games and streaming platforms, 95% of Australians still read for pleasure or interest.
But with thousands of titles released each year, how can you make it to their shelves?
Naturally, new authors need to work harder in marketing because they still lack an audience. Whether you’re backed by a traditional publisher or working on your own, it’s unlikely to get morning show interviews, TV commercials, or full-page ads in renowned literary magazines. The important thing is to be discerning with your marketing methods—no matter how small.
Here’s how to increase readership for new authors:
1. Create A Brand Identity
Effective branding is the foundation of any audience-building strategy. It is even more critical when you’re about to release your first book.
A brand is a concept that captures your uniqueness, relevance, and significance. To put it simply, your brand is your promise. And because this is a promise, you need to be consistent with the tone, design, colours, etc., to be recognisable.
Cultivating a persona is also an effective way to establish a relationship with the audience.
2. Approach Newspapers and Magazines
Misplaced calculated molecules:
No. 1
Density functional theory data (the ωB97M-V functional and the def2-TZVPD basis) for a molecular structure, C20H27BrN4O2RuS2Se2Te2.

The geometry in XYZ format:
```
61
Properties=species:S:1:pos:R:3:lowdin_spin:R:1
Ru 1.87043 -1.23307 1.72317 0.530
Se -0.18427 -1.89877 1.11327 0.350
Te -1.13797 -3.59417 -0.37063 0.182
Te 2.22213 -3.66037 -1.59253 -0.171
Se 2.97813 -2.90317 0.59607 0.009
Br 1.18603 -4.31827 3.74537 0.002
C 0.52703 -2.71797 4.52917 0.006
C -0.36877 -2.76147 5.58287 0.001
C -0.82207 -1.55057 6.09077 0.000
C -0.38297 -0.37367 5.51037 0.000
C 0.50093 -0.43647 4.44297 0.001
N 0.96623 -1.59847 3.97817 0.023
C 0.88493 0.82843 3.65947 0.002
O 0.83833 1.90493 4.23347 0.008
O 1.15113 0.62223 2.44347 0.005
H -0.70357 -3.70607 5.98517 0.000
H -1.52577 -1.52967 6.91097 0.000
H -0.70127 0.59853 5.85207 0.000
S 4.06273 -0.79067 2.72977 -0.005
C 4.38903 0.05583 1.26167 0.002
C 5.67993 0.46733 0.91797 0.001
C 5.86093 1.10363 -0.28773 0.001
C 4.76103 1.34773 -1.10203 0.000
C 3.51603 0.92903 -0.67633 0.000
N 3.33933 0.27303 0.45887 -0.004
H 6.49853 0.26683 1.59107 0.000
H 6.84933 1.41793 -0.59203 0.000
H 4.86563 1.85493 -2.04613 0.000
H 2.62073 1.12573 -1.25123 0.000
C -4.69797 1.46023 -1.52523 0.000
C -4.81167 1.59413 -0.00933 0.000
C -3.46107 1.72363 0.69627 0.000
C -2.67147 0.41973 0.80107 0.006
N -2.26737 -0.09707 -0.48803 0.019
C -1.09357 0.23833 -1.07043 0.011
S -0.17617 1.52783 -0.53503 0.004
N -0.76647 -0.46737 -2.16733 0.002
C 0.51053 -0.37157 -2.83623 0.000
C 0.60363 0.85163 -3.75083 0.000
C -0.55467 0.97323 -4.74063 0.000
C -0.58597 -0.14467 -5.77703 0.000
H -5.66787 1.62093 -1.99493 0.000
H -4.32807 0.47773 -1.80533 0.000
H -4.00917 2.20443 -1.91713 0.000
H -5.35427 0.73573 0.39327 0.000
H -5.39647 2.49053 0.21727 0.000
H -3.62297 2.08563 1.71517 0.000
H -2.84917 2.45713 0.17047 0.000
H -3.26687 -0.34627 1.30347 0.000
H -1.77657 0.61063 1.41207 0.003
H -2.60977 -1.02607 -0.71753 0.007
H -1.27607 -1.33117 -2.31303 0.004
H 0.65143 -1.29047 -3.40733 0.000
H 1.31233 -0.31487 -2.08983 0.000
H 1.54763 0.79353 -4.29523 0.000
H 0.61993 1.75173 -3.13423 0.000
H -0.46287 1.93253 -5.26003 0.000
H -1.49677 0.98233 -4.18803 0.000
H 0.36303 -0.19867 -6.30713 0.000
H -1.37267 0.04093 -6.50713 0.000
H -0.77427 -1.10777 -5.30963 0.000
```

Output
total charge	-1
2S+1	2
calculated total energy	-270811.1570	eV
ΔE to the lowest compared entry with this formula, charge and spin	376.24	kJ/mol

---

No. 2
Density functional theory data (the ωB97M-V functional and the def2-TZVPD basis) for a molecular structure, C19H30Cl3NOReSi.

The geometry in XYZ format:
```
56
Properties=species:S:1:pos:R:3:lowdin_spin:R:1
C -1.14040 1.03611 -2.92429 0.065
C -1.28707 -0.38749 -3.12448 0.021
C 0.00101 -1.00113 -3.00825 0.069
C -2.55105 -1.08988 -3.51529 0.005
C 0.94598 0.02352 -2.63878 0.067
C 0.25147 1.29020 -2.63173 0.032
C 0.87234 2.63001 -2.41442 0.003
C -2.24913 2.03589 -2.94882 0.016
C 0.30946 -2.42893 -3.32138 0.010
C 2.39863 -0.18322 -2.33259 0.017
“Newspapers and magazines are still deemed as trustworthy sources of information. Having your book reviewed by an established critic or journalists can be a good start in drawing the readers' attention. They’d think that if the critic or journalist took time to read your work, there must be something about it.”, recommends Shane Perry, a financial consultant at Max Funding.
Remember not to push too hard and not to expect an instant response.
3. Create a Website
According to a survey, 60.8% of Australians say their primary source of news is the internet. As a new author, you must seize this opportunity and create a website through which the audience can find important information about you and your book.
A professionally-designed website with a brand persona gives an impression that you’re serious about your craft. With specific plugins, the audience can easily share your website through social media platforms.
The site doesn’t have to be elaborate; it simply has to contain relevant information, such as:
Your biography
Your photo
Summary of the book
Excerpts from your book
A link to sites where they can purchase the book
Links to your social media profiles
Reviews or a short clip of you talking about your inspiration
4. Book Launching and Signing
Book launching and signing is a traditional way to gain traction for new authors. You’ll have to bring out some cash for this, but a well-thought event can be effective in stirring the audience.
Start by setting a budget for an invite-only or an open house event. Then, choose a venue that’s accessible for your expected audient. Consider partnering with bookstores and libraries where many readers are always on the lookout for new authors. If you want a more casual event, strike a deal with a local bar or café.
5. Join Literary Events
As a new author, it is essential to connect with industry professionals. Taking part in literary events is an opportunity to gain fresh perspectives and get to know other emerging authors.
Working Type has been helping authors create deep emotional connections through customer-focused design and layout. Using our experience, expertise, and attention to detail, we ensure that your book correctly represents its content and reaches the right audience. Contact us now to know more.
David Gaughran is the Bomb
In a world of hucksters and over-promising, David Gaughran stands out for producing material with some integrity and a lot of detail. He produces a great deal of free material (alongside paid information) relating to the effective digital marketing of books — an essential part of book promotion these days, accelerated still further by the covid debacle. His free Starting from Zero course should be an essential starting point for any digital marketing neophyte. He approaches the Amazon borg with curiosity and humour, and demystifies the algorithms that increasingly rule our online lives.